After announcing her highly anticipated sophomore album, Trail of Flowers, and making her television debut on Jimmy Kimmel Live!Sierra Ferrell sat down for an extensive interview on the Zach Sang Show in which she discussed everything from her influences and misgivings about modern country music to her past adventures trainhopping and five overdose experiences.

In the video podcast, the open-ended format allows Ferrell and her interviewer to delve into a number of topics, beginning with her background growing up with a single mom in low-income housing. “I had to watch her struggle and it was hard,” she says. She describes moving so often that she attended six elementary schools, observing that it helped her learn how to make friends and also showed her the lack of equality among different area codes.

The conversation quickly turns to Ferrel’s experience leaving home to hitchhike with a friend, and all the things she had to learn to survive as a traveling nomad before she found busking. She discusses her time hopping trains and finding community through jam sessions, as well as her past struggles with drug addiction.

The page is interrupted by records of molecules >
+++
Record 1
{
  "formula": "C33H36ClN5Ta",
  "method": "wB97M-V/def2-TZVPD",
  "de_lowest_kj_mol": 0.0,
  "homo_lumo_gap_ev": 6.7,
  "largest_force_ha_per_bohr": 0.0065,
  "e_tot_ha": -2069.220493,
  "lumo_energy_ev": -9.880,
  "charge": 3,
  "species": ["Ta", "C", "C", "C", "N", "C", "C", "C", "C", "C", "C", "C", "N", "C", "C", "C", "N", "C", "C", "C", "C", "C", "C", "C", "N", "C", "C", "H", "H", "H", "H", "H", "H", "H", "H", "H", "H", "H", "H", "H", "H", "H", "H", "H", "H", "H", "H", "H", "H", "H", "H", "H", "H", "C", "C", "C", "C", "C", "C", "H", "H", "H", "H", "H", "H", "Cl", "C", "C", "C", "C", "N", "C", "H", "H", "H", "H"],
  "positions_angstrom": [[-0.03, 0.39, 0.30], [-4.03, 0.61, 0.20], [-3.58, 1.45, 1.40], [-2.43, 0.84, 2.20], [-1.10, 1.32, 1.75], [-0.56, 2.45, 2.35], [-1.31, 3.22, 3.23], [-0.97, 4.32, 4.00], [0.24, 5.00, 4.07], [1.38, 4.74, 3.33], [1.62, 3.73, 2.41], [0.81, 2.68, 1.97], [1.28, 1.76, 1.07], [2.71, 1.79, 0.71], [3.11, 0.52, -0.03], [2.82, -0.74, 0.76], [1.37, -1.03, 0.76], [0.95, -2.28, 1.15], [1.83, -3.19, 1.73], [1.62, -4.49, 2.15], [0.46, -5.27, 2.10], [-0.77, -4.88, 1.62], [-1.17, -3.65, 1.10], [-0.45, -2.49, 0.90], [-1.02, -1.35, 0.35], [-2.40, -1.39, -0.14], [-2.88, 0.00, -0.63], [-4.67, -0.21, 0.53], [-4.65, 1.23, -0.45], [-3.28, 2.45, 1.05], [-4.44, 1.61, 2.05], [-2.53, 1.01, 3.27], [-2.42, -0.24, 2.09], [-2.35, 2.92, 3.35], [-1.76, 4.70, 4.63], [0.28, 5.84, 4.75], [2.21, 5.42, 3.49], [2.60, 3.77, 1.97], [2.92, 2.66, 0.10], [3.31, 1.86, 1.62], [2.64, 0.46, -1.02], [4.18, 0.58, -0.22], [3.33, -1.58, 0.29], [3.19, -0.64, 1.78], [2.84, -2.84, 1.89], [2.48, -4.99, 2.58], [0.54, -6.28, 2.47], [-1.55, -5.63, 1.66], [-2.21, -3.62, 0.80], [-2.45, -2.11, -0.96], [-3.07, -1.73, 0.65], [-2.08, 0.77, -0.68], [-3.18, -0.09, -1.67], [-0.06, -2.60, -4.46], [-0.26, -3.12, -3.18], [0.79, -3.13, -2.27], [2.02, -2.61, -2.62], [2.22, -2.09, -3.89], [1.18, -2.09, -4.81], [-0.86, -2.63, -5.19], [-1.21, -3.57, -2.93], [0.65, -3.62, -1.31], [2.86, -2.66, -1.92], [3.20, -1.72, -4.18], [1.35, -1.74, -5.82], [-0.01, 4.95, -3.08], [0.03, 3.25, -3.02], [0.05, 2.47, -4.17], [0.10, 1.09, -4.05], [0.11, 0.51, -2.80], [0.08, 1.27, -1.69], [0.04, 2.62, -1.79], [0.04, 2.94, -5.14], [0.12, 0.46, -4.93], [0.15, -0.57, -2.68], [0.02, 3.19, -0.87]]
}

Record 2
{
  "formula": "C37H45N7OSV",
  "method": "wB97M-V/def2-TZVPD",
  "de_lowest_kj_mol": 0.0,
  "homo_lumo_gap_ev": [6.2, 6.3],
  "largest_force_ha_per_bohr": 0.0525,
  "multiplicity": 2,
  "s_squared": 0.777,
  "e_tot_ha": -3237.128028,
  "lumo_energy_ev": [-6.887, -6.803],
  "charge": 2,
+++

“I’ve died five times, and I’ve seen some things, and I’m not scared of dying from that.” Asked to explain more, she says she “used to be a junkie” and goes on to describe a blissful out-of-body experience in vivid detail:

[Before] I knew it, I was in the corner of the room looking at my body, and [my friend’s] like still shaking me … And then I’m flying and I see this little tiny pin of light and it’s getting bigger and bigger and bigger and then there’s these little beans in around the circle of the light and they’re like leaning in and they’re like cheering me on and then all of a sudden the only thing I felt was total bliss and joy and happiness. … and then I was, like, depressed for months after that because I felt … coming back here after what I felt there it’s just like there’s just so much pain here, so much suffering here, and there’s no pain or suffering there, like, at all.

In addition to her adventurous past, the conversation covers Ferrell’s musical history, writing process, and experiences collaborating with artists like Zach Bryan, whom she calls “super respectful” and “super sweet” before describing the indulgent spread of candy and snacks his crew had in the studio.

“I walk over and it’s gushers, fruit roll ups, goldfish, Cheez-Its, Capri Suns. I mean, of course I had one of everything, but I was like, ‘Well, when in Rome.’ And then I was like, ‘Well what’s for dinner,’ [and they were] like, ‘Well, we’re going to order Wendy’s.’ [So I said], ‘Alright, spicy chicken sandwich it is!'”

She also discusses her love of jazz and complex feelings about country music. “I have a country heart with a jazz mind,” she says. “The heart of country music is pure and genuine it comes from a place of the working class people traditionally. They’re talking about the hard times that they’ve went through and the hard times they’re still going through, but they smile about it and they joke about it and they make a show of it. Today it’s more about being a thoroughbread. … It’s missing a core ingredient sometimes. I feel like it’s missing that raw genuiness. It’s more L.A. I guess.”

Watch the full interview with Sierra Ferrell on the Zach Sang Show below. Her new album, Trail of Flowers, is due out March 22nd. Click here to pre-order/pre-save the album. Visit her website for a list of her upcoming tour dates.

Sierra Ferrell On The Zach Sang Show

### Next to the piece, the page also holds molecular data
=====
No. 1
The following is a quantum chemistry calculation of the ion C6H13NO with charge +1, from the Open Molecules 2025 dataset.

Bonds (Å) are listed after each position.
Element x y z (Å)
1 C 1.3849 1.5634 0.6888  C2 1.543, C3 1.516, H9 1.086, H10 1.088
2 C 1.9533 2.4608 -0.4298  C1 1.543, H11 1.089, H12 1.106, H13 1.085
3 C 0.1321 0.8919 0.1625  C1 1.516, N4 1.427, O8 1.198
4 N 0.3482 -0.5081 -0.0125  C3 1.427, C6 1.443, H14 1.014
5 C -1.4528 -1.3350 -1.3139  C6 1.533, H15 1.097, H16 1.090, H17 1.091
6 C -0.6192 -1.5782 -0.0509  N4 1.443, C5 1.533, C7 1.563, H18 1.096
7 C -1.5316 -1.7190 1.2099  C6 1.563, H19 1.085, H20 1.091, H21 1.088
8 O -0.9184 1.3578 -0.1764  C3 1.198
9 H 1.0324 2.1950 1.4994  C1 1.086
10 H 2.1450 0.8584 1.0175  C1 1.088
11 H 2.5706 3.1868 0.0983  C2 1.089
12 H 2.6164 1.9881 -1.1778  C2 1.106
13 H 1.1786 2.8806 -1.0634  C2 1.085
14 H 1.2930 -0.8734 0.0349  N4 1.014
15 H -2.1033 -2.1620 -1.6243  C5 1.097
16 H -2.1625 -0.5289 -1.1291  C5 1.090
17 H -0.7460 -1.0752 -2.1029  C5 1.091
18 H -0.0314 -2.4908 -0.1997  C6 1.096
19 H -2.5296 -1.8531 0.8069  C7 1.085
20 H -1.3342 -0.8205 1.7963  C7 1.091
21 H -1.2254 -2.4387 1.9664  C7 1.088

## Properties
**E_HOMO (alpha / beta)**: -15.6 / -15.5 eV
**HOMO-LUMO gap (alpha / beta)**: 12.2 / 6.8 eV
**Net charge**: +1
**Molar mass**: 115.18 g mol⁻¹
**2S+1**: 2

No. 2
The following is a quantum chemistry calculation of a cluster of 2 separate species, C6H16NSi in total, from the Open Molecules 2025 dataset.

Bonds (Å) are listed after each position.
Element x y z (Å)
1 C -1.6043 0.0327 -2.5472  C2 1.353, H9 1.107, H10 1.066
2 C -0.9765 -0.5888 -1.5227  C1 1.353, Si8 1.795, H11 1.065
3 C 0.1542 -2.3859 0.8256  C5 1.537, H12 1.137, H13 1.054, H14 1.055
4 C -0.9765 1.7030 1.3381  N7 1.530, H15 1.043, H16 1.140, H17 1.071
5 C 1.3147 -1.5173 0.3136  C3 1.537, Si8 1.930, H18 1.112, H19 1.032
6 C 0.7647 1.7235 -0.4725  N7 1.423, H20 1.134, H21 1.037
7 N 0.4426 2.0399 0.8772  C4 1.530, C6 1.423, H22 1.039, H23 1.020
8 Si 0.8022 -0.7969 -1.4023  C2 1.795, C5 1.930, H24 1.551
9 H -2.6417 0.4196 -2.5660  C1 1.107
10 H -1.1451 0.3499 -3.4558  C1 1.066
11 H -1.6229 -0.8941 -0.7333  C2 1.065
12 H -0.2060 -3.1759 0.0916  C3 1.137
13 H 0.5021 -2.9262 1.6608  C3 1.054
14 H -0.6524 -1.7720 1.1163  C3 1.055
15 H -1.5499 1.8220 0.4755  C4 1.043
16 H -1.0861 0.5870 1.5454  C4 1.140
17 H -1.2300 2.3262 2.1712  C4 1.071
18 H 2.1796 -2.1701 0.0620  C5 1.112
19 H 1.7525 -0.8771 0.9944  C5 1.032
20 H 0.2235 2.4173 -1.1880  C6 1.134
21 H 1.7854 1.9036 -0.4452  C6 1.037
22 H 0.5594 3.0436 1.1179  N7 1.039
23 H 1.0934 1.3490 1.2515  N7 1.020
24 H 1.9187 -1.1605 -2.4159  Si8 1.551

## Properties
**E_HOMO (alpha / beta)**: -12.3 / -12.3 eV
**HOMO-LUMO gap (alpha / beta)**: 8.7 / 8.7 eV
**Net charge**: +1
**Molar mass**: 130.29 g mol⁻¹

No. 3
The following is a quantum chemistry calculation of a cluster of 11 separate species, C32H89F3N13O13S in total, from the Open Molecules 2025 dataset.
=====

[Video: Zach Sang Show]